To do:
Now say how many lines of the block below hold the word "Project", as a bare number.
Source:
____________
[1]
# MgTi2Si2Ag4O10

A geometry-optimized MgTi2Si2Ag4O10 structure (PBE, the Materials Project).

Computed properties:
* total magnetization: 0.00 μB/cell
* formation enthalpy at 0 K: -2.16 eV/atom

Cell lengths 6.6421, 6.6421, 5.8691 Å; angles 90.00, 90.00, 90.00 degrees
Last column: nearest neighbours and their distance in Å.
Space group P-4m2 (No. 115)
Unique sites:
Mg (0.0000, 0.0000, 0.0000) x1  4 O 2.29
Ti (0.0000, 0.5000, 0.4203) x2  1 O 1.69
Si (0.0000, 0.0000, 0.5000) x1  4 O 1.66
Si (0.5000, 0.5000, 0.5000) x1  4 O 1.65
Ag (0.2889, 0.2889, 0.0000) x4  2 O 2.46, 1 Mg 2.71
O (0.0000, 0.1955, 0.3224) x4  1 Si 1.66
O (0.0000, 0.5000, 0.7079) x2  1 Ti 1.69
O (0.2926, 0.5000, 0.3445) x4  1 Si 1.65

---

[2]
# Th3Fe33C4

A geometry-optimized Th3Fe33C4 structure (PBE, the Materials Project).

Computed properties:
* total magnetization: 135.71 μB/cell
* formation enthalpy at 0 K: -0.03 eV/atom

Cell lengths 6.5117, 7.8702, 21.7656 Å; angles 86.08, 81.54, 65.61 degrees
Last column: nearest neighbours and their distance in Å.
Space group P-1 (No. 2)
Unique sites:
Th (0.0456, 0.2426, 0.4168) x2  2 C 2.68-2.70
Th (0.2878, 0.7524, 0.9175) x2  3 C 2.66-2.69
Th (0.3790, 0.2477, 0.7494) x2  3 C 2.66-2.69
Fe (0.0000, 0.5000, 0.0000) x1  10 Fe 2.42-2.65
Fe (0.0428, 0.1722, 0.8616) x2  1 C 1.86
Fe (0.0663, 0.6767, 0.8064) x2  1 C 1.87
Fe (0.0725, 0.3236, 0.6400) x2  1 C 1.89
Fe (0.0938, 0.4165, 0.2759) x2  1 C 1.86
Fe (0.1159, 0.1706, 0.9741) x2  10 Fe 2.43-2.69
Fe (0.1231, 0.0753, 0.5575) x2  10 Fe 2.43-2.67
Fe (0.1263, 0.7514, 0.2506) x2  12 Fe 2.65-2.75
Fe (0.1349, 0.0784, 0.2764) x2  10 Fe 2.44-2.70
Fe (0.1516, 0.4197, 0.8922) x2  1 C 1.87
Fe (0.1660, 0.9999, 0.6666) x2  10 Fe 2.41-2.66
Fe (0.1668, 0.0000, 0.1668) x2  10 Fe 2.42-2.65
Fe (0.1669, 0.4999, 0.1668) x2  10 Fe 2.44-2.70
Fe (0.1774, 0.5843, 0.4422) x2  1 C 1.86
Fe (0.1980, 0.9221, 0.0569) x2  10 Fe 2.44-2.69
Fe (0.2055, 0.9224, 0.7748) x2  1 C 1.87
Fe (0.2065, 0.2483, 0.0828) x2  12 Fe 2.65-2.75
Fe (0.2186, 0.8331, 0.3602) x2  10 Fe 2.44-2.72
Fe (0.2391, 0.5839, 0.0576) x2  1 C 1.86
Fe (0.2607, 0.6763, 0.6925) x2  1 C 1.88
Fe (0.2711, 0.3220, 0.5268) x2  1 C 1.89
Fe (0.2821, 0.8325, 0.4733) x2  10 Fe 2.45-2.73
Fe (0.3333, 0.5011, 0.3336) x2  10 Fe 2.42-2.67
Fe (0.3762, 0.1722, 0.1947) x2  1 C 1.86
Fe (0.3995, 0.6765, 0.1398) x2  1 C 1.87
Fe (0.4052, 0.3241, 0.9740) x2  1 C 1.88
Fe (0.4285, 0.4158, 0.6087) x2  1 C 1.86
Fe (0.4476, 0.1711, 0.3074) x2  10 Fe 2.45-2.71
Fe (0.4570, 0.7532, 0.5833) x2  12 Fe 2.64-2.76
Fe (0.4614, 0.0775, 0.8918) x2  1 C 1.88
Fe (0.4696, 0.0746, 0.6096) x2  10 Fe 2.44-2.67
Fe (0.4855, 0.4191, 0.2257) x2  1 C 1.87
Fe (0.5000, 0.0000, 0.0000) x1  10 Fe 2.41-2.66
Fe (0.5000, 0.0000, 0.5000) x1  10 Fe 2.41-2.64
Fe (0.5000, 0.5000, 0.5000) x1  10 Fe 2.43-2.69
C (0.0000, 0.5000, 0.5000) x1  4 Fe 1.86-1.89
C (0.1666, 0.5006, 0.6663) x2  4 Fe 1.86-1.89
C (0.3332, 0.9997, 0.8333) x2  4 Fe 1.86-1.88
C (0.3335, 0.5000, 0.8333) x2  4 Fe 1.87
C (0.5000, 0.5000, 0.0000) x1  4 Fe 1.86-1.88

---

[3]
# RbCu4Se3

A geometry-optimized RbCu4Se3 structure (PBE, the Materials Project).

Computed properties:
* formation enthalpy at 0 K: -0.53 eV/atom

Cell lengths 4.0536, 4.0536, 10.0504 Å; angles 90.00, 90.00, 90.00 degrees
Last column: nearest neighbours and their distance in Å.
Space group P4/mmm (No. 123)
Unique sites:
Rb (0.0000, 0.0000, 0.0000) x1  8 Se 3.58
Cu (0.0000, 0.5000, 0.3466) x4  4 Se 2.43-2.55
Se (0.0000, 0.0000, 0.5000) x1  8 Cu 2.55
Se (0.5000, 0.5000, 0.2127) x2  4 Cu 2.43

---

[4]
# Sm2Ni22C3

A geometry-optimized Sm2Ni22C3 structure (PBE, the Materials Project).

Computed properties:
* total magnetization: 4.46 μB/cell
* formation enthalpy at 0 K: -0.12 eV/atom

Cell lengths 11.3484, 14.9973, 14.6111 Å; angles 90.00, 90.00, 90.00 degrees
Last column: nearest neighbours and their distance in Å.
Space group Cmce (No. 64)
____________
Written answer:
4